### Input
No. 1
# Rb2As4Pt3, relaxed, DFT PBE
data_Rb2As4Pt3
_chemical_formula_sum 'Rb8 As16 Pt12'
_space_group_name_H-M_alt 'F m m m'
_space_group_IT_number 69
_space_group_name_Hall '-F 2 2'
_cell_length_a 6.1812
_cell_length_b 10.4491
_cell_length_c 15.2216
_cell_angle_alpha 90.00
_cell_angle_beta 90.00
_cell_angle_gamma 90.00
loop_
_atom_site_label
_atom_site_fract_x
_atom_site_fract_y
_atom_site_fract_z
_atom_site_occupancy
Rb1 0.0000 0.0000 0.1530 1
As1 0.0000 0.1673 0.3829 1
Pt1 0.0000 0.0000 0.5000 1
Pt2 0.2500 0.2500 0.0000 1
# Energy of formation ... -392 meV/atom
# Volume ... 983.1 Å³/cell
# Total energy ... -4.69 eV per atom

No. 2
# Rb3AsPt, relaxed, DFT PBE
data_Rb3AsPt
_chemical_formula_sum 'Rb3 As1 Pt1'
_space_group_name_H-M_alt 'P m -3 m'
_space_group_IT_number 221
_space_group_name_Hall '-P 4 2 3'
_cell_length_a 6.3345
_cell_length_b 6.3345
_cell_length_c 6.3345
_cell_angle_alpha 90.00
_cell_angle_beta 90.00
_cell_angle_gamma 90.00
loop_
_atom_site_label
_atom_site_fract_x
_atom_site_fract_y
_atom_site_fract_z
_atom_site_occupancy
Rb1 0.0000 0.0000 0.5000 1
As1 0.5000 0.5000 0.5000 1
Pt1 0.0000 0.0000 0.0000 1
# Energy of formation ... 278 meV/atom
# ΔE to the lowest computed polymorph ... 493 meV per atom
# Volume ... 254.2 Å³/cell
# Total energy ... -2.44 eV per atom

No. 3
# Rb2AsPt2, relaxed, DFT PBE
data_Rb2AsPt2
_chemical_formula_sum 'Rb4 As2 Pt4'
_space_group_name_H-M_alt 'P 4/m b m'
_space_group_IT_number 127
_space_group_name_Hall '-P 4 2ab'
_cell_length_a 6.6716
_cell_length_b 6.6716
_cell_length_c 5.7249
_cell_angle_alpha 90.00
_cell_angle_beta 90.00
_cell_angle_gamma 90.00
loop_
_atom_site_label
_atom_site_fract_x
_atom_site_fract_y
_atom_site_fract_z
_atom_site_occupancy
Rb1 0.1779 0.3221 0.0000 1
As1 0.0000 0.0000 0.5000 1
Pt1 0.1429 0.6429 0.5000 1
# Energy of formation ... -109 meV/atom
# ΔE to the lowest computed polymorph ... 162 meV per atom
# Volume ... 254.8 Å³/cell
# Total energy ... -3.84 eV per atom

No. 4
# Rb3AsPt, relaxed, DFT PBE
data_Rb3AsPt
_chemical_formula_sum 'Rb12 As4 Pt4'
_space_group_name_H-M_alt 'C 1 2/m 1'
_space_group_IT_number 12
_cell_length_a 9.0561
_cell_length_b 10.9218
_cell_length_c 9.2612
_cell_angle_alpha 90.00
_cell_angle_beta 94.72
_cell_angle_gamma 90.00
loop_
_space_group_symop_operation_xyz
'x,y,z'
'-x,-y,-z'
'-x,y,-z'
'x,-y,z'
'x+1/2,y+1/2,z'
'-x+1/2,-y+1/2,-z'
'-x+1/2,y+1/2,-z'
'x+1/2,-y+1/2,z'
loop_
_atom_site_label
_atom_site_fract_x
_atom_site_fract_y
_atom_site_fract_z
_atom_site_occupancy
Rb1 0.1016 0.2015 0.3280 1
Rb2 0.2191 0.5000 0.0652 1
As1 0.0801 0.5000 0.6962 1
Pt1 0.1550 0.5000 0.4512 1
# Energy of formation ... -215 meV/atom
# ΔE to the lowest computed polymorph ... 0 meV per atom
# Volume ... 912.9 Å³/cell
# Total energy ... -2.93 eV per atom


DFT (PBE) results for an optimized crystal structure of Li2Al2Tc.

Geometry as extended XYZ:
```
10
Lattice="7.089 0.000 0.000 0.000 7.089 0.000 0.000 0.000 2.775" Properties=species:S:1:pos:R:3 pbc="T T T"
Tc 0.000 0.000 0.000
Al 4.586 1.041 0.000
Al 2.503 6.048 0.000
Al 6.048 4.586 0.000
Li 4.632 6.001 1.388
Tc 3.545 3.545 0.000
Li 2.457 1.088 1.388
Li 1.088 4.632 1.388
Al 1.041 2.503 0.000
Li 6.001 2.457 1.388
```

Spin magnetization (μB/cell): 0.0
Calculated formation energy (kJ per mole of atoms): 6
Crystal system: tetragonal


No. 1
The following is a DFT calculation (PBE) of Nd8SmSc3 after structural relaxation. Values from VASP.

Summary:
N(E_F)   18.567 states/eV per cell
Space-group type   Immm (71)
Theoretical density   5.6 g/cm3
Total magnetic moment   0.0 μB per formula unit
Calculated formation energy   461 kJ/mol of formula units
Raw total energy   -4.756 eV/atom

```
&SYSTEM
  ibrav = 0, nat = 12, ntyp = 3
/
ATOMIC_SPECIES
Nd 144.24 Nd.upf
Sm 150.36 Sm.upf
Sc 44.96 Sc.upf
CELL_PARAMETERS angstrom
8.165 -1.250 -2.498
-5.717 6.348 -1.223
0.937 1.250 8.487
ATOMIC_POSITIONS crystal
Nd 0.511 0.222 0.289
Nd 0.489 0.778 0.711
Nd 0.067 0.778 0.289
Nd 0.933 0.222 0.711
Nd 0.166 0.253 0.420
### Assignment
Retype all of the material above verbatim.
### Here it is
No. 1
# Rb2As4Pt3, relaxed, DFT PBE
data_Rb2As4Pt3
_chemical_formula_sum 'Rb8 As16 Pt12'
_space_group_name_H-M_alt 'F m m m'
_space_group_IT_number 69
_space_group_name_Hall '-F 2 2'
_cell_length_a 6.1812
_cell_length_b 10.4491
_cell_length_c 15.2216
_cell_angle_alpha 90.00
_cell_angle_beta 90.00
_cell_angle_gamma 90.00
loop_
_atom_site_label
_atom_site_fract_x
_atom_site_fract_y
_atom_site_fract_z
_atom_site_occupancy
Rb1 0.0000 0.0000 0.1530 1
As1 0.0000 0.1673 0.3829 1
Pt1 0.0000 0.0000 0.5000 1
Pt2 0.2500 0.2500 0.0000 1
# Energy of formation ... -392 meV/atom
# Volume ... 983.1 Å³/cell
# Total energy ... -4.69 eV per atom

No. 2
# Rb3AsPt, relaxed, DFT PBE
data_Rb3AsPt
_chemical_formula_sum 'Rb3 As1 Pt1'
_space_group_name_H-M_alt 'P m -3 m'
_space_group_IT_number 221
_space_group_name_Hall '-P 4 2 3'
_cell_length_a 6.3345
_cell_length_b 6.3345
_cell_length_c 6.3345
_cell_angle_alpha 90.00
_cell_angle_beta 90.00
_cell_angle_gamma 90.00
loop_
_atom_site_label
_atom_site_fract_x
_atom_site_fract_y
_atom_site_fract_z
_atom_site_occupancy
Rb1 0.0000 0.0000 0.5000 1
As1 0.5000 0.5000 0.5000 1
Pt1 0.0000 0.0000 0.0000 1
# Energy of formation ... 278 meV/atom
# ΔE to the lowest computed polymorph ... 493 meV per atom
# Volume ... 254.2 Å³/cell
# Total energy ... -2.44 eV per atom

No. 3
# Rb2AsPt2, relaxed, DFT PBE
data_Rb2AsPt2
_chemical_formula_sum 'Rb4 As2 Pt4'
_space_group_name_H-M_alt 'P 4/m b m'
_space_group_IT_number 127
_space_group_name_Hall '-P 4 2ab'
_cell_length_a 6.6716
_cell_length_b 6.6716
_cell_length_c 5.7249
_cell_angle_alpha 90.00
_cell_angle_beta 90.00
_cell_angle_gamma 90.00
loop_
_atom_site_label
_atom_site_fract_x
_atom_site_fract_y
_atom_site_fract_z
_atom_site_occupancy
Rb1 0.1779 0.3221 0.0000 1
As1 0.0000 0.0000 0.5000 1
Pt1 0.1429 0.6429 0.5000 1
# Energy of formation ... -109 meV/atom
# ΔE to the lowest computed polymorph ... 162 meV per atom
# Volume ... 254.8 Å³/cell
# Total energy ... -3.84 eV per atom

No. 4
# Rb3AsPt, relaxed, DFT PBE
data_Rb3AsPt
_chemical_formula_sum 'Rb12 As4 Pt4'
_space_group_name_H-M_alt 'C 1 2/m 1'
_space_group_IT_number 12
_cell_length_a 9.0561
_cell_length_b 10.9218
_cell_length_c 9.2612
_cell_angle_alpha 90.00
_cell_angle_beta 94.72
_cell_angle_gamma 90.00
loop_
_space_group_symop_operation_xyz
'x,y,z'
'-x,-y,-z'
'-x,y,-z'
'x,-y,z'
'x+1/2,y+1/2,z'
'-x+1/2,-y+1/2,-z'
'-x+1/2,y+1/2,-z'
'x+1/2,-y+1/2,z'
loop_
_atom_site_label
_atom_site_fract_x
_atom_site_fract_y
_atom_site_fract_z
_atom_site_occupancy
Rb1 0.1016 0.2015 0.3280 1
Rb2 0.2191 0.5000 0.0652 1
As1 0.0801 0.5000 0.6962 1
Pt1 0.1550 0.5000 0.4512 1
# Energy of formation ... -215 meV/atom
# ΔE to the lowest computed polymorph ... 0 meV per atom
# Volume ... 912.9 Å³/cell
# Total energy ... -2.93 eV per atom


DFT (PBE) results for an optimized crystal structure of Li2Al2Tc.

Geometry as extended XYZ:
```
10
Lattice="7.089 0.000 0.000 0.000 7.089 0.000 0.000 0.000 2.775" Properties=species:S:1:pos:R:3 pbc="T T T"
Tc 0.000 0.000 0.000
Al 4.586 1.041 0.000
Al 2.503 6.048 0.000
Al 6.048 4.586 0.000
Li 4.632 6.001 1.388
Tc 3.545 3.545 0.000
Li 2.457 1.088 1.388
Li 1.088 4.632 1.388
Al 1.041 2.503 0.000
Li 6.001 2.457 1.388
```

Spin magnetization (μB/cell): 0.0
Calculated formation energy (kJ per mole of atoms): 6
Crystal system: tetragonal


No. 1
The following is a DFT calculation (PBE) of Nd8SmSc3 after structural relaxation. Values from VASP.

Summary:
N(E_F)   18.567 states/eV per cell
Space-group type   Immm (71)
Theoretical density   5.6 g/cm3
Total magnetic moment   0.0 μB per formula unit
Calculated formation energy   461 kJ/mol of formula units
Raw total energy   -4.756 eV/atom

```
&SYSTEM
  ibrav = 0, nat = 12, ntyp = 3
/
ATOMIC_SPECIES
Nd 144.24 Nd.upf
Sm 150.36 Sm.upf
Sc 44.96 Sc.upf
CELL_PARAMETERS angstrom
8.165 -1.250 -2.498
-5.717 6.348 -1.223
0.937 1.250 8.487
ATOMIC_POSITIONS crystal
Nd 0.511 0.222 0.289
Nd 0.489 0.778 0.711
Nd 0.067 0.778 0.289
Nd 0.933 0.222 0.711
Nd 0.166 0.253 0.420